Table of Contents
Textbook is a widely used teaching tool (material) which presents the subject matter defined by the curriculum. A university textbook is required to contain the complete overview of the subject, including the theories, as well as to be of a more permanent character and therefore planning for a textbook is very important.
According to Wikipedia, retrieved 19:57, 8 August 2007 (MEST),
A textbook is a manual of instruction or a standard book in any branch of study. They are produced according to the demand of the educational institutions. Textbooks are usually published by one of the four major publishing companies. Although most textbooks are only published in printed format, some can now be viewed online.
Philosophical definition of textbook is “Textbook is nothing but a vehicle of curriculum transport.”
According to the Dictionary of Education, we can define textbook as:
A textbook is: A book deals with a definite subject of study, systematically arranged, intended for use at specified level of instruction and use as a principle source material of study for given course.
Planning stage
There are four major stages in textbook planning. They are:
1) Considering pre-disposing factors
2) Structure of textbook
3) Structure of content area
4) Organization of content
1) Considering pre-disposing factors
Textbook genre should be adapted to clearly identified set of objectives. These should include an analysis of learning objectives and pedagogical function of the book within potential learning situations/environments. So the pre-disposing factors are the followings:
1. Aims and objectives of education
2. Level of education
(Materials data that have nothing to do with the article)
********
## one
A plane-wave DFT calculation with PBE+U was carried out for an optimized crystal structure of Na3Li3Fe2P2C2O14.

Cell and atoms, written as POSCAR:
```
Na3Li3Fe2P2C2O14
1.0
6.7127 0.0000 0.0000
-0.0127 8.7223 0.0000
-0.1031 -0.4254 10.1614
Na Li Fe P C O
6 6 4 4 4 28
Direct
0.0000 0.0000 0.0000
0.0008 0.4841 0.7558
0.4963 0.0038 0.4991
0.4993 0.0017 0.0050
0.7559 0.8308 0.2494
0.9986 0.4901 0.2519
0.2590 0.6449 0.5068
0.2656 0.6418 0.0038
0.4716 0.4646 0.2453
0.4819 0.4676 0.7530
0.7389 0.8373 0.7466
0.9628 0.0339 0.5167
0.2430 0.1027 0.2456
0.2480 0.0920 0.7366
0.7411 0.3916 0.0166
0.7410 0.4056 0.5195
0.2454 0.3393 0.4864
0.2518 0.3358 0.9861
0.7425 0.1545 0.7706
0.7453 0.1640 0.2766
0.2590 0.7880 0.2631
0.2612 0.7853 0.7648
0.7438 0.6827 0.9763
0.7616 0.7060 0.4977
0.0609 0.4325 0.0121
0.0606 0.4414 0.5175
0.2268 0.1767 0.5425
0.2437 0.9030 0.3494
0.2453 0.8977 0.8538
0.2483 0.1795 0.0523
0.2525 0.8136 0.1386
0.2604 0.8174 0.6414
0.2700 0.3200 0.3337
0.2761 0.6459 0.8036
0.2782 0.3077 0.8341
0.2789 0.6502 0.3062
0.4254 0.4334 0.5453
0.4252 0.4395 0.0422
0.5620 0.0481 0.7329
0.5617 0.0605 0.2417
0.7246 0.5771 0.8822
0.7260 0.3242 0.2167
0.7283 0.3132 0.7092
0.7437 0.6061 0.3982
0.7479 0.8261 0.9483
0.7523 0.1785 0.9237
0.7552 0.6566 0.6163
0.7581 0.6388 0.0964
0.7653 0.1869 0.4299
0.7823 0.8505 0.4769
0.9290 0.0621 0.7220
0.9296 0.0741 0.2243
```

Results
**V**: 11.4 A^3/atom
**Size of the total moment**: 8.000 μB/f.u.

=====

## two
A plane-wave DFT calculation with PBE+U was carried out for an optimized crystal structure of Na3Li3Fe2P2C2O14.

Cell and atoms, written as POSCAR:
```
Na3Li3Fe2P2C2O14
1.0
6.6308 0.0000 0.0000
-0.0928 8.7516 0.0000
-0.0845 -0.2851 10.1968
Na Li Fe P C O
6 6 4 4 4 28
Direct
0.0000 0.0000 0.0000
0.0014 0.4872 0.7515
0.0007 0.9988 0.4987
0.4942 0.4888 0.2489
0.7409 0.6597 0.0027
0.7513 0.6596 0.5026
0.2560 0.8411 0.2499
0.2791 0.8363 0.7510
0.4774 0.0200 0.0116
0.4786 0.0186 0.5080
0.5264 0.4643 0.7334
0.9706 0.4627 0.2346
0.2463 0.3901 0.0132
0.2506 0.3902 0.5136
0.7417 0.0928 0.2339
0.7455 0.0926 0.7320
0.2452 0.1531 0.2717
0.2582 0.1548 0.7710
0.7368 0.3277 0.9772
0.7484 0.3273 0.4767
0.2582 0.7008 0.4888
0.2604 0.7015 0.9892
0.7378 0.7943 0.7594
0.7570 0.7946 0.2592
0.0573 0.0495 0.2415
0.0586 0.0687 0.7349
0.2234 0.3136 0.2121
0.2448 0.5914 0.9002
0.2468 0.6694 0.6125
0.2497 0.5898 0.4004
0.2580 0.6687 0.1127
0.2717 0.3159 0.7114
0.2753 0.1722 0.4232
0.2773 0.1721 0.9235
0.2769 0.8402 0.4501
0.2774 0.8412 0.9511
0.4242 0.0604 0.2123
0.4282 0.0482 0.7172
0.5572 0.4267 0.0251
0.5668 0.4292 0.5185
0.7203 0.6470 0.7653
0.7290 0.1656 0.5325
0.7307 0.1661 0.0342
0.7319 0.3140 0.8239
0.7379 0.8802 0.3646
0.7422 0.8804 0.8652
0.7494 0.8604 0.1460
0.7514 0.8597 0.6464
0.7592 0.3125 0.3232
0.7812 0.6484 0.2658
0.9301 0.4182 0.0241
0.9388 0.4147 0.5291
```

Results
**V**: 11.4 A^3/atom
**Size of the total moment**: 8.000 μB/f.u.

=====
********
3. Physical and psychological characteristics of the target group
4. Nature of curriculum
5. Number and characteristics of Ethnic community.
2) Structure of a Textbook
Textbooks are divided into a structure like this:
• Parts – Parts represent either different major topics (e.g. conceptual vs. technical) or levels.
• Chapters – Chapters contain a clearly identifiable major topic. In the US teaching university system, a textbook corresponds to a week’s work, e.g. two classes and a homework assignment. This may be the reason why most textbooks are divided into 8-12 chapters.
• Sections – Sections contain major subtopics, i.e. a independent unit of instruction. Sub-sections usually cover a concept or procedure to be learnt.
• Sub-sections – Each heading that has subheadings must have at least to of its kind. E.g. a chapter should not have just a single section, but at least 2. In most textbooks, everything is usually divided by three or four chapters with openers and closers.
Again, size, cover page, paper, get-up etc are also considered as the structure of a textbook. Therefore, structuring is not only a pedagogical issue and one may have to give up pedagogical beliefs to comply with external constraints.
3) Structure of Content Areas
Usually Textbooks are divided into the following parts:
• Textbook naming: Name of the textbook according to the subject matter.
• Foreword: Generally, writer, publisher or chairman writes forward about the special characteristics of the book and gives thank to related people..
• Index: Table of contents of the textbook.
• Summary: The summary has a similar function as the chapter preview. It may be part of the conclusion or be labeled as a separate section or sub-section. It may for instance summarize essential points for each section. “A summary should be a content review, not a catalogue of what has been covered”. (Lepionka 2003:141)
• General concept about the textbook.
• Subchapter: Different chapters of the textbook.
• Illustration: Attractive pictures and illustration related to the content.
• Example: Interesting quotations and examples related to the content.
• Short note: Word meaning, definition etc after the chapter.
• Exercise: Reflective questions and assessments for evaluate the learning outcomes according to the bloom’s taxonomy.
• Table: Table and graphs if necessary for the content.
4) Organization of content
• Psychological approach: For preprimary and primary level textbooks are written in a psychological approach, such as: the contents are organized from easy to hard, from known to unknown, from concrete to abstract etc.
• Logical approach: Logical approaches are mainly used in secondary level textbooks. In this approach, contents are written according to time, event, invention etc. as for example: in history book the language movement of 1952 will place before the independent war of 1971 of Bangladesh.
• Vertical: Vertical arrangement of content refers to the sequencing of materials in time. It allows the students to concentrate on a particular subject. In other sense it is a kind of cyclical approach, which that the same subjects are repeatedly taught in cycles of 3-5 years, each time in greater depth and scope. As for example: from grade 3 social science book, one student will know about the basic concept of environment. The same student will know about the elements of environment and their uses in details, in social science of grade 4.
• Horizontal: Horizontal arrangement refers to the co-ordination of the learning materials of various contents for the same level of students. There are different subjects in a class. Each and every subject is inter-related with other subject. By horizontal articulation a student may able to discover the relation between various subjects. As for example: students can know about the bad effects of air pollution in science and the awareness and prevention of air pollution in social science at the same level.
• Spiral: Spiral approach is an approach where certain basic concepts, ideas or topics are repeatedly introduced into the curriculum without a systematic repetition of the entire filed. Suppose learners will gain knowledge about “energy”. Thus the will acquire wider knowledge about energy (concept and use of energy, different types of energy, transmission of energy etc) in each new level.
Development stage
The following five stages are considered as the development stage of a textbook:
1. writing a text material
2. development of illustration
3. vetting of textbook
4. revision and editing
5. printing
In case of writing text materials the heading structure should have a function as conceptual organizers. The structure “Reflects the amount of information you are providing, the amount of differentiation you are making within and between topics, and each topic’s relative importance in you scheme of things” (Lepionka: 106). Lepionka (2003:108) outlines a few characteristics of good topical structure that we reproduce here with different wording:
(1) Each major section (chapter, section and sub-section) should include a thesis statement, either typographically marked or in the introductory paragraph. At the chapter level, there may be an introductory section to which this applies.
(2) Ideas or points are grouped into meaningful chunks of information
(3) There should be a balance of topical development and include a reasonable amount of information. E.g. for smaller concept (a sub-section level) between 1/2 and 1 1/2 pages (figures not included).
(4) Topics (sections, subsections, etc.) should lead to each other. In other words, a textbook should not be written like an Encyclopedia.
(5) These transitions should be clear, i.e. made explicit for the novices that the readers are.
(6) Each main concept should be supported, e.g. by data or examples
(7) Each topic should only be treated once and one should avoid forward pointers.
[Misplaced calculated crystals]
- - -
A plane-wave DFT calculation with PBE+U was carried out for a geometry-optimized Li7Mn4CoO12 structure.

```
Li7Mn4CoO12
1.0
5.2033 -8.5734 0.0000
5.2033 8.5734 0.0000
-2.0122 0.0000 4.8313
Li Mn Co O
14 8 2 24
direct
0.0000 0.5000 0.5000
0.0802 0.4209 0.0014
0.1674 0.3343 0.4956
0.2474 0.2474 0.0139
0.2499 0.7501 0.0000
0.3343 0.1674 0.4956
0.4209 0.0802 0.0014
0.5000 0.0000 0.5000
0.5791 0.9198 0.9986
0.6657 0.8326 0.5044
0.7501 0.2499 0.0000
0.7526 0.7526 0.9861
0.8326 0.6657 0.5044
0.9198 0.5791 0.9986
0.0849 0.9151 0.0000
0.1667 0.8333 0.5000
0.3336 0.6664 0.5000
0.4148 0.5852 0.0000
0.5852 0.4148 0.0000
0.6664 0.3336 0.5000
0.8333 0.1667 0.5000
0.9151 0.0849 0.0000
0.0000 0.0000 0.5000
0.5000 0.5000 0.5000
0.0345 0.2004 0.7210
0.0571 0.7306 0.7384
0.1139 0.1139 0.2301
0.1321 0.6325 0.2795
0.2004 0.0345 0.7210
0.2303 0.5571 0.7375
0.2694 0.9429 0.2616
0.2980 0.4660 0.2742
0.3675 0.8679 0.7205
0.3969 0.3969 0.7470
0.4429 0.7697 0.2625
0.4660 0.2980 0.2742
0.5340 0.7020 0.7258
0.5571 0.2303 0.7375
0.6031 0.6031 0.2530
0.6325 0.1321 0.2795
0.7020 0.5340 0.7258
0.7306 0.0571 0.7384
0.7697 0.4429 0.2625
0.7996 0.9655 0.2790
0.8679 0.3675 0.7205
0.8861 0.8861 0.7699
0.9429 0.2694 0.2616
0.9655 0.7996 0.2790
```

***

A plane-wave DFT calculation with PBE+U was carried out for a geometry-optimized Li7Mn4CoO12 structure.

```
Li7Mn4CoO12
1.0
5.9174 0.0000 0.0000
1.0830 7.5773 0.0000
2.3896 1.9585 9.7036
Li Mn Co O
14 8 2 24
direct
0.0000 0.0000 0.0000
0.0011 0.5013 0.2532
0.1563 0.8426 0.7540
0.1590 0.8522 0.2410
0.3431 0.1474 0.7588
0.3444 0.1566 0.2467
0.4981 0.4993 0.7470
0.5000 0.0000 0.0000
0.5019 0.5007 0.2530
0.6556 0.8434 0.7533
0.6569 0.8526 0.2412
0.8410 0.1478 0.7590
0.8437 0.1574 0.2460
0.9989 0.4987 0.7468
0.1615 0.3224 0.0044
0.1697 0.3304 0.5013
0.3304 0.6696 0.4977
0.3385 0.6774 0.9959
0.6615 0.3226 0.0041
0.6696 0.3304 0.5023
0.8303 0.6696 0.4987
0.8385 0.6776 0.9956
0.0000 0.0000 0.5000
0.5000 0.0000 0.5000
0.0159 0.2370 0.3861
0.0316 0.7341 0.1084
0.1499 0.5834 0.8941
0.1540 0.0882 0.6171
0.1605 0.1033 0.1181
0.1856 0.5710 0.3798
0.3142 0.4288 0.6196
0.3395 0.8967 0.8822
0.3460 0.9110 0.3823
0.3503 0.4166 0.1059
0.4683 0.2660 0.8915
0.4834 0.7643 0.6132
0.5166 0.2357 0.3868
0.5317 0.7340 0.1085
0.6497 0.5834 0.8941
0.6540 0.0890 0.6177
0.6605 0.1033 0.1178
0.6858 0.5712 0.3804
0.8144 0.4290 0.6202
0.8395 0.8967 0.8819
0.8460 0.9118 0.3829
0.8501 0.4166 0.1059
0.9684 0.2659 0.8916
0.9841 0.7630 0.6139
```

***

A plane-wave DFT calculation with PBE+U was carried out for a geometry-optimized Li7Mn2Co3O12 structure.

```
Li7Mn2Co3O12
1.0
7.7428 -1.4710 0.0000
7.7428 1.4710 0.0000
-3.7412 0.0000 9.5392
Li Mn Co O
7 2 3 12
direct
0.0000 0.0000 0.0000
0.1620 0.1620 0.9252
0.1643 0.1643 0.4010
0.4998 0.4998 0.2288
0.5005 0.5005 0.7572
0.8356 0.8356 0.5692
0.8366 0.8366 0.0797
0.3382 0.3382 0.8345
0.6648 0.6648 0.6587
0.3234 0.3234 0.3183
0.6531 0.6531 0.1493
0.9908 0.9908 0.4812
0.0858 0.0858 0.2021
0.0930 0.0930 0.6959
- - -
Therefore, the following principles are treated as the major principles of textbook writing:
• Textbook must fulfill all the conditions or requirements of the concerned curriculum.
• It should provide all the facilities required to achieve aims and objectives set in the curriculum.
• Text materials should be simple and precise.
• Have to provide necessary and relevant example and illustration.
[The entry is interrupted by crystal structures]
-- begin --
# 1
Computed, not measured: crystalline ThBi2 at its relaxed geometry at the PBE level of DFT.

Cell and atoms, written as POSCAR:
```
ThBi2
1.0
-3.6873 -2.5621 -0.7868
0.4285 -1.8844 4.1286
-5.4502 6.7271 3.6361
Bi Th
4 2
Direct
0.5000 0.0000 0.6364
0.0000 0.5000 0.3636
0.5000 0.5000 0.0000
0.0000 0.0000 0.0000
0.0000 0.5000 0.7216
0.5000 0.0000 0.2784
```

Output
- symmetry = P4/nmm, No. 129
- formation enthalpy at 0 K (eV/f.u.) = -1.57
- density (g/cm³) = 11.1

***

# 2
Computed, not measured: crystalline Th5Bi3 at its relaxed geometry at the PBE level of DFT.

Cell and atoms, written as POSCAR:
```
Th5Bi3
1.0
0.4211 6.3415 -1.6295
1.2009 2.2817 9.1900
7.5764 -1.9094 -5.4727
Th Bi
10 6
Direct
0.7500 0.7477 0.7477
0.5000 0.6667 0.3334
0.0000 0.3333 0.6666
0.2500 0.0000 0.7477
0.2500 0.7475 0.0000
0.0000 0.6667 0.3334
0.7500 0.0000 0.2523
0.5000 0.3333 0.6666
0.7500 0.2525 0.0000
0.2500 0.2523 0.2523
0.2500 0.3890 0.0000
0.7500 0.6110 0.0000
0.2500 0.0000 0.3890
0.7500 0.0000 0.6110
0.7500 0.3890 0.3890
0.2500 0.6110 0.6110
```

Output
- symmetry = P6_3/mcm, No. 193
- formation enthalpy at 0 K (eV/f.u.) = -3.31
- density (g/cm³) = 11.5

***

# 3
Computed, not measured: crystalline TmBi3 at its relaxed geometry at the PBE level of DFT.

Cell and atoms, written as POSCAR:
```
TmBi3
1.0
-5.7026 2.4369 1.6420
-3.3674 3.0808 -4.5081
3.0759 -5.5995 0.5816
Bi Tm
3 1
Direct
0.5000 0.5000 0.0000
0.2500 0.7500 0.5000
0.7500 0.2500 0.5000
0.0000 0.0000 0.0000
```

Output
- symmetry = I4/mmm, No. 139
- formation enthalpy at 0 K (eV/f.u.) = -1.06
- density (g/cm³) = 11.0

***

# 4
Computed, not measured: crystalline Tm5Bi3 at its relaxed geometry at the PBE level of DFT.

Cell and atoms, written as POSCAR:
```
Tm5Bi3
1.0
8.0179 1.8663 -0.5379
-1.9994 9.0436 1.5741
1.1924 -1.7646 11.6522
Tm Bi
20 12
Direct
0.9740 0.2500 0.5094
0.1959 0.4388 0.0675
0.0260 0.7500 0.4906
0.6725 0.2500 0.7332
0.1959 0.0612 0.0675
0.8041 0.5612 0.9325
0.3041 0.0612 0.5675
0.1535 0.2500 0.7881
0.6959 0.9388 0.4325
0.8275 0.2500 0.2332
0.3041 0.4388 0.5675
0.8465 0.7500 0.2119
0.3465 0.2500 0.2881
0.4740 0.7500 0.9906
0.1725 0.7500 0.7668
0.6959 0.5612 0.4325
0.5260 0.2500 0.0094
0.6535 0.7500 0.7119
0.3275 0.7500 0.2668
0.8041 0.9388 0.9325
0.0688 0.4888 0.3257
0.5688 0.5112 0.1743
0.5928 0.2500 0.4787
0.5688 0.9888 0.1743
0.9312 0.9888 0.6743
0.4072 0.7500 0.5213
0.4312 0.4888 0.8257
0.9312 0.5112 0.6743
0.9072 0.2500 0.9787
0.0928 0.7500 0.0213
0.4312 0.0112 0.8257
0.0688 0.0112 0.3257
```

Output
- excess energy over the best structure of this formula in the dataset (meV/atom) = 11
- symmetry = Pnma, No. 62
- formation enthalpy at 0 K (eV/f.u.) = -4.85
- density (g/cm³) = 10.6

***

# 5
Computed, not measured: crystalline TmBi3 at its relaxed geometry at the PBE level of DFT.

Cell and atoms, written as POSCAR:
```
TmBi3
1.0
0.0338 4.9252 4.7360
-5.5921 -1.0682 -3.7783
-2.0102 -3.9102 4.0808
Bi Tm
6 2
Direct
0.8275 0.1725 0.7500
0.1725 0.3451 0.2500
0.3451 0.1725 0.7500
-- stop --
• Content should be well articulated.
• Illustration will be as far as possible visible.
• Textbook should address individual difference as far as possible.
• Content must be valid.
• Content or textbook should satisfy the psychological needs of the beneficiary.
When the content is ready different types of illustrations and pictures are added according to content. Most of the times writers select the pictures and illustrations and it is done by artist or institution.
Then experts check the language, spelling, sentence, structure etc of the textbook. They can change any sentence or word which is not applicable for the students of that stage. This part is called the vetting of textbook.
Finally the editor edits the content if necessary and justifies that whether the shape, size, cover page etc are perfect for the certain level. Then the editor sends textbook in any recognize press for print.
Textbook is a widely used teaching tool (material) which presents the subject matter defined by the curriculum. A university textbook is required to contain the complete overview of the subject, including the theories, as well as to be of a more permanent character.
About the Author

Tamanna Kalim is working in the developmental sector (Health and Education) for over 10 years in different multicultural settings, possess post-graduation both in Public Health (MPH) and Education (MEd). Her current position is Clinical Administrator in Vancouver, BC, Canada.